-- To do --
Now start at the top of the contents further down and transcribe each line, ending with the one that has "0.950".

-- Given --
1.
V6O5F19 | PBE+U | optimized geometry

a = 5.397 Å, b = 5.588 Å, c = 14.820 Å
α = 100.52°, β = 89.85°, γ = 91.48°
Fractional coordinates of all 30 atoms:
V 0.051 0.034 0.006
V 0.440 0.149 0.339
V 0.008 0.315 0.667
V 0.553 0.460 0.994
V 0.935 0.692 0.327
V 0.534 0.779 0.663
O 0.729 0.219 0.978
O 0.712 0.540 0.645
O 0.231 0.282 0.023
O 0.707 0.869 0.309
O 0.207 0.963 0.356
F 0.796 0.019 0.644
F 0.281 0.147 0.690
F 0.900 0.044 0.113
F 0.603 0.202 0.445
F 0.906 0.389 0.782
F 0.442 0.119 0.219
F 0.065 0.303 0.549
F 0.400 0.456 0.888
F 0.791 0.390 0.309
F 0.776 0.694 0.976
F 0.297 0.440 0.360
F 0.231 0.624 0.689
F 0.555 0.557 0.115
F 0.942 0.717 0.448
F 0.570 0.900 0.781
F 0.098 0.628 0.222
F 0.421 0.805 0.554
F 0.048 0.947 0.885
F 0.271 0.813 0.024

Summary:
space-group type	No. 1
M_tot	1.0	μB/cell
V	14.64	Å³/atom
formation energy	-2738	meV/atom
E above lowest polymorph	0.0013	eV per atom
MP2020-corrected energy	-6.5925	eV/atom

---

2.
V2O3F | PBE+U | optimized geometry

a = 5.593 Å, b = 9.840 Å, c = 5.571 Å
α = 78.17°, β = 65.55°, γ = 97.74°
Fractional coordinates of all 24 atoms:
V 0.913 0.774 0.637
V 0.626 0.250 0.876
V 0.519 0.000 0.498
V 0.733 0.500 0.253
V 0.250 0.498 0.741
V 0.339 0.727 0.115
V 0.126 0.250 0.376
V 0.002 0.003 0.010
O 0.927 0.153 0.773
O 0.582 0.847 0.733
O 0.325 0.347 0.979
O 0.813 0.346 0.496
O 0.907 0.103 0.302
O 0.345 0.397 0.450
O 0.114 0.906 0.703
O 0.171 0.654 0.519
O 0.670 0.654 0.018
O 0.439 0.154 0.256
O 0.081 0.847 0.232
O 0.138 0.595 0.049
F 0.844 0.398 0.950
F 0.651 0.603 0.550
F 0.408 0.103 0.801
F 0.601 0.897 0.201

Summary:
space-group type	No. 2
M_tot	12.0	μB/cell
V	11.03	Å³/atom
formation energy	-2631	meV/atom
E above lowest polymorph	0.0386	eV per atom
MP2020-corrected energy	-8.4522	eV/atom

---

3.
V4O7F5 | PBE+U | optimized geometry

a = 5.239 Å, b = 5.327 Å, c = 9.036 Å
α = 74.11°, β = 74.82°, γ = 61.76°
Fractional coordinates of all 16 atoms:
V 0.211 0.261 0.269
V 0.457 0.511 0.496
V 0.705 0.745 0.760
V 0.958 0.021 0.020
O 0.117 0.647 0.586
O 0.095 0.080 0.152
O 0.601 0.156 0.085
O 0.609 0.594 0.657
O 0.428 0.405 0.341
O 0.425 0.839 0.902
O 0.924 0.341 0.408
F 0.051 0.622 0.113
F 0.463 0.872 0.378
F 0.574 0.123 0.624
F 0.956 0.375 0.874
F 0.927 0.907 0.834

Summary:
space-group type	No. 1
M_tot	1.0	μB/cell
V	13.19	Å³/atom
formation energy	-2524	meV/atom
E above lowest polymorph	0.0319	eV per atom
MP2020-corrected energy	-7.5584	eV/atom

---

4.
V3O4F2 | PBE+U | optimized geometry

a = 4.614 Å, b = 4.614 Å, c = 9.048 Å
α = 90.00°, β = 90.00°, γ = 90.03°
Fractional coordinates of all 18 atoms:
V 0.000 0.000 0.023
V 0.000 0.000 0.334
V 0.000 0.000 0.644
V 0.500 0.500 0.144
V 0.500 0.500 0.833
V 0.500 0.500 0.522
O 0.203 0.797 0.172
O 0.203 0.797 0.495
O 0.297 0.297 0.994
O 0.297 0.297 0.672
O 0.703 0.703 0.994
O 0.703 0.703 0.672
O 0.797 0.203 0.172
O 0.797 0.203 0.495
F 0.192 0.808 0.833
F 0.307 0.307 0.333
F 0.693 0.693 0.333
F 0.808 0.192 0.833

Summary:
space-group type	No. 136
M_tot	10.0	μB/cell
V	10.70	Å³/atom
formation energy	-2659	meV/atom
E above lowest polymorph	0.0570	eV per atom
MP2020-corrected energy	-8.3119	eV/atom

---

5.
V2O3F3 | PBE+U | optimized geometry

a = 5.154 Å, b = 5.154 Å, c = 9.080 Å
α = 77.48°, β = 77.48°, γ = 62.38°
Fractional coordinates of all 16 atoms:
V 0.999 0.250 0.627
V 0.750 0.001 0.373
V 0.451 0.757 0.137
V 0.243 0.549 0.863
O 0.945 0.055 0.500
O 0.455 0.545 0.000
O 0.572 0.936 0.245
O 0.064 0.428 0.755
O 0.136 0.793 0.247
O 0.207 0.864 0.753
F 0.713 0.383 0.244
F 0.617 0.287 0.756
F 0.778 0.631 0.504
F 0.896 0.694 0.996
F 0.369 0.222 0.496
F 0.306 0.104 0.004

Summary:
space-group type	No. 5
M_tot	2.0	μB/cell
V	12.92	Å³/atom
formation energy	-2630	meV/atom
E above lowest polymorph	0.0249	eV per atom
MP2020-corrected energy	-7.4747	eV/atom

---

6.
V3O4F2 | PBE+U | optimized geometry

a = 5.116 Å, b = 5.581 Å, c = 5.096 Å
α = 91.86°, β = 61.55°, γ = 63.41°
Fractional coordinates of all 9 atoms:
V 0.314 0.062 0.347
V 0.732 0.435 0.137

-- Response --
1.
V6O5F19 | PBE+U | optimized geometry

a = 5.397 Å, b = 5.588 Å, c = 14.820 Å
α = 100.52°, β = 89.85°, γ = 91.48°
Fractional coordinates of all 30 atoms:
V 0.051 0.034 0.006
V 0.440 0.149 0.339
V 0.008 0.315 0.667
V 0.553 0.460 0.994
V 0.935 0.692 0.327
V 0.534 0.779 0.663
O 0.729 0.219 0.978
O 0.712 0.540 0.645
O 0.231 0.282 0.023
O 0.707 0.869 0.309
O 0.207 0.963 0.356
F 0.796 0.019 0.644
F 0.281 0.147 0.690
F 0.900 0.044 0.113
F 0.603 0.202 0.445
F 0.906 0.389 0.782
F 0.442 0.119 0.219
F 0.065 0.303 0.549
F 0.400 0.456 0.888
F 0.791 0.390 0.309
F 0.776 0.694 0.976
F 0.297 0.440 0.360
F 0.231 0.624 0.689
F 0.555 0.557 0.115
F 0.942 0.717 0.448
F 0.570 0.900 0.781
F 0.098 0.628 0.222
F 0.421 0.805 0.554
F 0.048 0.947 0.885
F 0.271 0.813 0.024

Summary:
space-group type	No. 1
M_tot	1.0	μB/cell
V	14.64	Å³/atom
formation energy	-2738	meV/atom
E above lowest polymorph	0.0013	eV per atom
MP2020-corrected energy	-6.5925	eV/atom

---

2.
V2O3F | PBE+U | optimized geometry

a = 5.593 Å, b = 9.840 Å, c = 5.571 Å
α = 78.17°, β = 65.55°, γ = 97.74°
Fractional coordinates of all 24 atoms:
V 0.913 0.774 0.637
V 0.626 0.250 0.876
V 0.519 0.000 0.498
V 0.733 0.500 0.253
V 0.250 0.498 0.741
V 0.339 0.727 0.115
V 0.126 0.250 0.376
V 0.002 0.003 0.010
O 0.927 0.153 0.773
O 0.582 0.847 0.733
O 0.325 0.347 0.979
O 0.813 0.346 0.496
O 0.907 0.103 0.302
O 0.345 0.397 0.450
O 0.114 0.906 0.703
O 0.171 0.654 0.519
O 0.670 0.654 0.018
O 0.439 0.154 0.256
O 0.081 0.847 0.232
O 0.138 0.595 0.049
F 0.844 0.398 0.950